# Entries
This entry pairs a crystal structure of Ba3Fe2Cl2O5 with its computed powder XRD pattern. Radiation: Cu Kα (weighted mean of Kα1 and Kα2). Structure: a DFT-relaxed cell (PBE+U, Alexandria).
Lines closer than 0.1° are merged.

Structural model:
a b c (Å): 8.7988 8.7988 8.7988
angles (deg): 109.47 109.47 109.47
Sites, in units of the cell vectors:
Ba 0.0927 0.8427 0.2500
Ba 0.2500 0.0927 0.8427
Ba 0.4073 0.6573 0.7500
Ba 0.6573 0.7500 0.4073
Ba 0.7500 0.4073 0.6573
Ba 0.8427 0.2500 0.0927
Fe 0.0000 0.1921 0.5000
Fe 0.1921 0.5000 0.0000
Fe 0.3079 0.3079 0.3079
Fe 0.5000 0.0000 0.1921
Cl 0.0000 0.6155 0.5000
Cl 0.5000 0.0000 0.6155
Cl 0.6155 0.5000 0.0000
Cl 0.8845 0.8845 0.8845
O 0.0000 0.9809 0.5000
O 0.1050 0.2500 0.3550
O 0.1450 0.3950 0.7500
O 0.2500 0.3550 0.1050
O 0.3550 0.1050 0.2500
O 0.3950 0.7500 0.1450
O 0.5000 0.0000 0.9809
O 0.5191 0.5191 0.5191
O 0.7500 0.1450 0.3950
O 0.9809 0.5000 0.0000

The 6 most intense peaks (10° ≤ 2θ ≤ 80°), low angle first:
| Position (°2θ) | Rel. int. |
| --- | --- |
| 21.4 | 66 |
| 27.8 | 100 |
| 33.0 | 74 |
| 39.7 | 38 |
| 45.5 | 31 |
| 55.8 | 38 |

----------

(1)
Diffraction record for Sn5P6O25. The powder diffraction line list is calculated, not measured: it uses a crystal structure in the Materials Project, relaxed with PBE and Cu Ka.

Cell and atoms:
a = 10.0994 Å, b = 10.0994 Å, c = 10.0994 Å
α = 49.63°, β = 49.63°, γ = 49.63°
Fractional coordinates of all 36 atoms:
Sn  0.0000  0.0000  0.0000
Sn  0.1731  0.1731  0.1731
Sn  0.4283  0.4283  0.4283
Sn  0.5717  0.5717  0.5717
Sn  0.8269  0.8269  0.8269
P  0.0611  0.3864  0.8207
P  0.1793  0.9389  0.6136
P  0.3864  0.8207  0.0611
P  0.6136  0.1793  0.9389
P  0.8207  0.0611  0.3864
P  0.9389  0.6137  0.1793
O  0.0447  0.7261  0.0999
O  0.0878  0.4372  0.1359
O  0.0999  0.0447  0.7261
O  0.1032  0.7854  0.7263
O  0.1359  0.0878  0.4372
O  0.1672  0.4419  0.5986
O  0.2146  0.2737  0.8968
O  0.2737  0.8968  0.2146
O  0.2739  0.9001  0.9553
O  0.4014  0.8328  0.5581
O  0.4372  0.1359  0.0878
O  0.4419  0.5986  0.1672
O  0.5000  0.5000  0.5000
O  0.5581  0.4014  0.8328
O  0.5628  0.8641  0.9122
O  0.5986  0.1672  0.4419
O  0.7261  0.0999  0.0447
O  0.7263  0.1032  0.7854
O  0.7854  0.7263  0.1032
O  0.8328  0.5581  0.4014
O  0.8641  0.9122  0.5628
O  0.8968  0.2146  0.2737
O  0.9001  0.9553  0.2739
O  0.9122  0.5628  0.8641
O  0.9553  0.2739  0.9001

Principal peaks in the range 2θ = 10–90°, in order of rising 2θ:
- 10.01 deg, intensity 43
- 20.67 deg, intensity 74
- 20.96 deg, intensity 100
- 23.28 deg, intensity 56
- 29.60 deg, intensity 63
- 40.30 deg, intensity 36

(2)
Diffraction record for Eu2TeO2. The powder diffraction line list is calculated, not measured: it uses a crystal structure in the Materials Project, relaxed with PBE and Cu Ka.

Cell and atoms:
a = 7.3857 Å, b = 7.3857 Å, c = 7.3857 Å
α = 148.30°, β = 148.30°, γ = 45.45°
Fractional coordinates of all 5 atoms:
Eu  0.1684  0.1684  0.0000
Eu  0.8316  0.8316  0.0000
Te  0.5000  0.5000  0.0000
O  0.2500  0.7500  0.5000
O  0.7500  0.2500  0.5000

Principal peaks in the range 2θ = 10–90°, in order of rising 2θ:
- 29.62 deg, intensity 100
- 31.35 deg, intensity 37
- 44.93 deg, intensity 18
- 51.43 deg, intensity 24
- 54.74 deg, intensity 35
- 61.48 deg, intensity 11

(3)
Diffraction record for MgTl6C2O6F2. The powder diffraction line list is calculated, not measured: it uses a crystal structure in the Materials Project, relaxed with PBE and Cu Ka.

Cell and atoms:
a = 6.3262 Å, b = 7.6817 Å, c = 8.0099 Å
α = 107.40°, β = 90.03°, γ = 91.27°
Fractional coordinates of all 17 atoms:
Mg  0.0000  0.0000  0.0000
Tl  0.0620  0.6996  0.6285
Tl  0.4678  0.0478  0.6287
Tl  0.4727  0.7794  0.9287
Tl  0.4850  0.4420  0.1918
Tl  0.9557  0.3035  0.3681
Tl  0.9683  0.3909  0.8661
C  0.4912  0.4451  0.5940
C  0.9883  0.7327  0.2291
O  0.0519  0.8363  0.3783
O  0.4505  0.4115  0.7411
O  0.4907  0.6112  0.5842
O  0.5349  0.3094  0.4549
O  0.9401  0.5594  0.2007
O  0.9715  0.7959  0.0942
# Request
Now search the lines above for the word "most" and quote each line that has it.
# Done
The 6 most intense peaks (10° ≤ 2θ ≤ 80°), low angle first: